I personally think the Supergirl movie is truly terrible. One of the worse movies I have ever seen, and I love it. I love this movie so much, because I really wonder how they made this. Who thought this script was good? How did they not go “wow, what have we done?” Now there are far worse movies, but because of this movies connection to comics, and some of my favorite old movies, it is so much fun to make fun of. I recently lent it to a friend of mine and he… Was very upset that I let him borrow it. Goooood times.
Wait- does that mean this comic is just my feelings on that movie? That would be a waste of some Nami and Blue stuff… Nope, there’s more too it than just that.
Oh and the book pre-orders are still going on- so – click the banner link bellow!
Heh…. Wait, if Supergirl is pretty much a female version of Superman, wouldn’t she also be weakened by magic?
why magic, superman is weak against a rock,
Superman has no special resistance against magic, in fact it’s one of the big things that can harm him quite easily.
Specifically, to elaborate on Eltharrion’s words:
Superman is only Super under the light of Yellow Sun. Superman is weak to a rock. Superman’s super durability has zero effect on magic effects. Which means that a simple kitchen knife with handy “self-sharpening and better-cutting” charm will be enough to kill him if you can land a hit on him.
Good job on making Superman sound like a bitch…
That’s not entirely true actually. He is still relatively resistant, as its been shown that a magical knife won’t just effortlessly cut him and kill him. Granted this changes all the time because different writers- however, there are many instances of Superman getting hit by magic or magically enhanced beings and them just being more effective. Generally speaking magic cuts through what they call his bioelectric field which is where most of his invulnerability comes from. That said, when he’s super charged from the sun- even magic can’t stop him.
One example, Superman and Shazam animated short. Black Adam hits Superman with a bolt of magic lightning. It hurt him- but didn’t outright kill him as it would a normal human. So he’s still resistant, just not magic proof!
sage there problem with that the lighting bolt used elemental magic just changed its form, true magic energy can kill him since magic in the dc universe needs to gain energy to do actual damage, so if i was to use say wand from mytxliplick’s realm that’s shoots non use of any elemental energy or anything that borrows from laws of science that governs the DC universe, thats why the lighting bolt only hurt him due it was partially resisted
It doesn’t matter if it is elemental magic (which it wasn’t because it was a bolt of magic that looked like lightning), if you argue that it doesn’t count then no magic counts because a magical weapon just enhances the weapon and isn’t “true magic”. Creatures from the 5th dimension basically warp reality, which is pretty much it’s own thing and not science or magic (though they generally call it magic because it’s the easiest way to explain him – his powers are totally different from that of Dr Fate and Zatana).
So yeah, magic can kill Superman, but he is still resistant (or super durable) despite being weaker to it.
Superman has no resistance to magic and tends to be effected by summoned things as much as if it weren’t magic. Lightning has had an effect on him in numeral occasions, it being summoned just made it more usable. His lack of resistance is more or less meant towards things that would directly affect him. IE tossing a magic rock at him might annoy him, while turning him into a frog would make him nearly powerless. In the end an item will deal as much damage to him as needed for the story to be exciting. Some days he might be able to swing a train around, other days he struggles catching one. Which ever causes more drama is what they use.
Off topic- If a magic user ported a piece of kryptonite into Supermans skull, wouldn’t it be incredibly easy to kill him.
Yep, Superman is so awesomely powerful he can only be defeated by FRICKIN’ GODS and WIZARDS! Or by someone with a green rock. Or maybe someone with a lot of red lights. Sure, it would have to be a special type of red light, but it’s not too hard to replicate a red stars spectrum.
That’s the thing with superman. He’s both insanely overpowered (Although there are enough overpowered beings for him to fight for it remains interesting), and yet pathetically weak in the right circumstances.
Edit: Enough overpowered beings for Superman to fight against that it remains interesting.
true, all they’d need to do is tint the sky to change the yellow suns glow into a red stars. then superman won’t be super… how come none of the villains superman faces i can recall EVER thought of that?
edit: thinking on it, probably because the sky doesn’t work like that, still it sounds like something some of the magic inclined villains he fights would try.
Actually, something similar has been done at least once in one of the various animated series runs. There was also the time the villain of the episode used satellites to filter the rays of the sun to make a red sun effect. Of course, Superman still won in the end because if he loses the series is kind of over.
It has been done, or at least similar to that. A living sun monster villian altered the sun into a red sun creation. Superman won using some kind of solar suit that either filtered the rays into yellow sun radiation or supplied it to him.
eh admitablly i haven’t watched every series/movie of superman. so it’s not really surprising that i’m being informed someone tried it. ideas are like dimes there are dozens out there. odds are someones gotta have a similar idea at some point.
*points at the long debate*
I take credit for this, people.
nope because super girl is from alternate universe and was sent to this universe due if i remember right her universe was going to explode or inplode
Well, if Blue and Nami are going the “no sex” route, that movie’s the perfect way to kill any buzz.
Yeah…that is a god awful movie…*gets the popcorn. and the vacuum, because a lot is going to be thrown at the screen*
Hey – I just donated – your ty page (“thank you”?) has gone awol…
Guilty pleasures… everyone pretty much has at least one. XD
Well, it can’t be any worse than Mazes & Monsters. Yes, it is a spinoff parody of D&D. In the 80’s. And there’s a ninth level player chick.
[These molecular data were left in the page by mistake]
~~~
{
  "formula": "C39H41As2Cl2N2NdOP",
  "method": "wB97M-V/def2-TZVPD",
  "charge": 3,
  "multiplicity": 4,
  "lumo_energy_ev": [-8.04, -7.87],
  "e_homo_ev": [-16.0, -16.0],
  "elements": ["Nd", "C", "As", "C", "C", "C", "C", "C", "C", "C", "As", "C", "C", "H", "H", "H", "H", "H", "H", "H", "H", "H", "H", "H", "H", "H", "H", "H", "H", "Cl", "C", "C", "C", "C", "C", "C", "P", "C", "C", "C", "C", "C", "C", "C", "C", "C", "C", "C", "C", "H", "H", "H", "H", "H", "H", "H", "H", "H", "H", "H", "H", "H", "H", "O", "C", "C", "C", "C", "C", "C", "N", "H", "H", "H", "H", "H", "H", "H", "Cl", "C", "C", "C", "C", "N", "C", "H", "H", "H", "H"],
~~~
Mazes and Monsters isn’t really a spin off or parody of D&D. It’s a movie based on a book about an actual event that was misinterpreted by the author and many of the investigators. It’s basically a PSA based on false information. Also you could argue Supergirl is worse, especially if you are familiar with the stories of Supergirl. Besides watch this clip… http://www.youtube.com/watch?v=F9GXEpgQwm0
Wow… that clip… I see.
Hee, my favorite ‘bad’ movie (though I seem to be oblivious to whatever qualifies it as a ‘bad’ movie, I enjoy it! xD) is The Adventures of Pluto Nash :3
awww, they’re bonding over how bad the movie is. maybe this would be a more tender moment if they were watching a better movie.
Ever done a “bad movie night?” Me and a couple of friends would take turns bringing bad movies to watch every Thursday in college just so we could mock them.
I did – We watched Shaolin Soccer, Surf Ninjas, and Monster Squad. I love Monster Squad too XD
I wonder if nami and blue will watch another superhero flick after supergirl? God let it be Batman 1989.
hehe i loved the old super girl movie it was so bad it was good
The supergirl movie does let someone stand with mixed feelings – especially if you’ve seen the German version first, which was cut down to 90 minutes from the original 121 minutes…
I had to search for the english version after learning that because in the german version, a lot of things made even less sense than in the original (it was toned toward the action side when being cut down and missing a lot of the scenes needed to explain details)
Maybe Phil has a copy of Hawk the Slayer sitting around….